### Material
____________
(1)
DFT (wB97M-V/def2-TZVPD) results for C34H28Cl2MnNO2S3Sb as an isolated structure.

Last column: Mulliken spin population.
CARTESIAN COORDINATES (ANGSTROEM)
1 Mn -0.80949 0.65680 2.92868  4.83
2 Cl -2.84135 2.19288 2.77316  0.04
3 C -3.97733 1.24534 1.81383  -0.02
4 C -5.15058 1.89635 1.47960  -0.01
5 C -6.11399 1.20760 0.76494  0.00
6 C -5.88691 -0.11400 0.41743  0.00
7 C -4.70076 -0.73381 0.76584  0.00
8 Cl -4.49548 -2.38878 0.30900  0.00
9 C -3.67439 -0.07458 1.46824  0.01
10 S -2.19077 -0.91961 1.84038  0.03
11 H -5.30282 2.92249 1.78318  0.00
12 H -7.03934 1.69449 0.49030  0.00
13 H -6.62778 -0.67882 -0.13111  0.00
14 C 3.52590 -0.74880 -0.94951  0.00
15 C 2.92585 -0.91347 -2.32278  0.00
16 C 3.75471 -0.86928 -3.44131  0.00
17 C 3.24233 -1.00130 -4.72279  0.00
18 C 1.87931 -1.17822 -4.90198  0.00
19 C 1.04333 -1.21805 -3.79494  0.00
20 C 1.54691 -1.08740 -2.50382  0.00
21 Sb 0.28188 -1.18614 -0.75173  0.00
22 C 0.47715 0.92657 -0.30464  -0.01
23 C 0.89760 1.20861 1.00525  0.18
24 C 1.10840 2.50630 1.45944  -0.02
25 C 0.86162 3.56485 0.59660  -0.02
26 C 0.48246 3.30348 -0.70571  0.02
27 C 0.31922 2.00037 -1.18884  -0.02
28 C 0.05831 1.83338 -2.66143  0.00
29 C -1.59667 -1.17655 -1.78623  0.00
30 C -2.45069 -0.07895 -1.74381  0.00
31 C -3.66840 -0.09061 -2.40952  0.00
32 C -4.04438 -1.21655 -3.12366  0.00
33 C -3.21746 -2.32996 -3.13900  0.00
34 C -2.00075 -2.33508 -2.46350  0.00
35 C -1.16315 -3.58735 -2.43773  0.00
36 H 4.61449 -0.75291 -0.99698  0.00
37 H 3.21552 -1.55232 -0.27585  0.00
38 H 3.21561 0.19521 -0.49353  0.00
39 H 4.82103 -0.73116 -3.30192  0.00
40 H 3.90678 -0.96702 -5.57686  0.00
41 H 1.46554 -1.28189 -5.89719  0.00
42 H -0.02378 -1.33817 -3.94812  0.00
43 H 1.18029 0.36756 1.65099  -0.10
44 H 1.46799 2.68642 2.46191  -0.01
45 H 0.99572 4.58512 0.93161  0.00
46 H 0.32570 4.13023 -1.38946  0.00
47 H -0.46379 2.70399 -3.05975  0.00
48 H -0.52605 0.94733 -2.88852  0.00
49 H 1.00744 1.73727 -3.19445  0.00
50 H -2.16699 0.80408 -1.18074  0.00
51 H -4.31803 0.77478 -2.36369  0.00
52 H -4.98782 -1.23745 -3.65467  0.00
53 H -3.52667 -3.22092 -3.67357  0.00
54 H -1.61336 -4.37233 -3.04422  0.00
55 H -1.07214 -3.96554 -1.41589  0.00
56 H -0.15313 -3.41382 -2.81679  0.00
57 O 0.74276 0.90197 6.53879  0.00
58 S 0.93142 0.79227 5.12931  -0.03
59 O 0.32116 1.89320 4.33099  0.03
60 N 0.34857 -0.52963 4.39114  0.06
61 C 1.33881 -1.27687 3.80870  0.00
62 S 1.08905 -2.58193 2.86265  0.02
63 C 2.68912 -0.66000 4.02814  -0.02
64 C 3.91962 -1.12440 3.59352  0.00
65 C 5.04439 -0.35908 3.86584  0.00
66 C 4.95007 0.84753 4.55918  0.00
67 C 3.72174 1.31812 5.00113  0.00
68 C 2.61541 0.54403 4.71048  0.01
69 H 3.97669 -2.06087 3.05472  0.00
70 H 6.01562 -0.70339 3.53567  0.00
71 H 5.84529 1.42164 4.75698  0.00
72 H 3.63344 2.24673 5.54861  0.00

Forces on atoms 1 to 6 (eV/Å):
Mn -0.14 -0.24 -0.17
Cl 0.02 0.14 -0.02
C 0.02 -0.02 0.01
C 0.00 -0.01 -0.01
C 0.00 0.01 0.00
C -0.01 -0.01 0.00

For the energy relative to the best compared isomer or geometry (same formula, charge and spin), the calculation gives 81.0 kJ/mol. The calculation puts the LUMO energy (spin up / spin down) at -0.566 / -0.589 eV. The spin multiplicity is 6. Its charge is 0. The expectation value of S² is 8.757.

(2)
DFT (wB97M-V/def2-TZVPD) results for one molecule with the formula C6H14.

Last column: Löwdin charge in e.
CARTESIAN COORDINATES (ANGSTROEM)
1 C 2.09782 -0.92038 0.52348  -0.10
2 C 1.46611 -0.36555 -0.78903  -0.25
3 C -0.05010 -0.53228 -0.86683  -0.22
4 C -0.84541 0.06745 0.31587  -0.44
5 C -2.34202 0.08466 -0.04397  -0.09
6 C -0.38870 1.47345 0.62767  -0.09
7 H 2.87510 -1.62904 0.25884  0.06
8 H 1.35038 -1.40263 1.15403  0.06
9 H 2.54568 -0.12746 1.12906  0.06
10 H 1.71927 0.68485 -0.94969  0.10
11 H 1.93049 -0.92161 -1.60410  0.10
12 H -0.41392 -0.07245 -1.79235  0.11
13 H -0.32274 -1.59023 -0.95964  0.11
14 H -0.70999 -0.63489 1.14045  0.12
15 H -2.72586 -0.92663 -0.22457  0.08
16 H -2.89841 0.45831 0.82187  0.07
____________
### What to do
What is needed: filter the entries above: keep the lines with the word "energy".
### Worked solution
For the energy relative to the best compared isomer or geometry (same formula, charge and spin), the calculation gives 81.0 kJ/mol. The calculation puts the LUMO energy (spin up / spin down) at -0.566 / -0.589 eV. The spin multiplicity is 6. Its charge is 0. The expectation value of S² is 8.757.